[Assignment]
Next, retype only the last part of the calculation results further below, starting with the line that has "2.0,".
[File]
(1)
{
  "formula": "Fe4Ni5",
  "functional": "PBE-GGA",
  "state": "relaxed",
  "total_magnetization_mub_per_cell": 13.88,
  "n_ef_per_ev_fu": 9.3,
  "space_group": "I4/m",
  "formation_energy_mev_per_atom": 23,
  "dft_energy_ha_per_atom": -0.255,
  "lattice": [[2.657, 0.000, 0.000], [1.329, 6.212, 0.000], [1.329, 0.000, 6.212]],
  "species": ["Fe", "Fe", "Fe", "Fe", "Ni", "Ni", "Ni", "Ni", "Ni"],
  "fractional_positions": [[0.030, 0.304, 0.637], [0.970, 0.696, 0.363], [0.334, 0.637, 0.696], [0.666, 0.363, 0.304], [0.000, 0.000, 0.000], [0.319, 0.030, 0.332], [0.651, 0.668, 0.030], [0.349, 0.332, 0.970], [0.681, 0.970, 0.668]]
}

(2)
{
  "formula": "Fe2Ni",
  "functional": "PBE-GGA",
  "state": "relaxed",
  "total_magnetization_mub_per_cell": 5.85,
  "n_ef_per_ev_fu": 3.2,
  "space_group": "P-3m1",
  "formation_energy_mev_per_atom": 47,
  "dft_energy_ha_per_atom": -0.276,
  "lattice": [[2.531, 0.000, 0.000], [-1.265, 2.192, 0.000], [0.000, 0.000, 6.262]],
  "species": ["Fe", "Fe", "Ni"],
  "fractional_positions": [[0.667, 0.333, 0.328], [0.333, 0.667, 0.672], [0.000, 0.000, 0.000]]
}

(3)
{
  "formula": "FeNi3",
  "functional": "PBE-GGA",
  "state": "relaxed",
  "total_magnetization_mub_per_cell": 9.73,
  "n_ef_per_ev_fu": 2.7,
  "space_group": "P6_3/mmc",
  "formation_energy_mev_per_atom": -86,
  "dft_energy_ha_per_atom": -0.240,
  "lattice": [[-3.522, -1.685, 3.159], [2.857, -3.255, -2.544], [2.711, 0.012, 3.030]],
  "species": ["Ni", "Ni", "Ni", "Ni", "Ni", "Ni", "Fe", "Fe"],
  "fractional_positions": [[0.835, 0.165, 0.250], [0.835, 0.669, 0.250], [0.331, 0.165, 0.250], [0.669, 0.835, 0.750], [0.165, 0.835, 0.750], [0.165, 0.331, 0.750], [0.333, 0.667, 0.250], [0.667, 0.333, 0.750]]
}

(4)
{
  "formula": "FeNi3",
  "functional": "PBE-GGA",
  "state": "relaxed",
  "total_magnetization_mub_per_cell": 4.40,
  "n_ef_per_ev_fu": 3.5,
  "space_group": "Fm-3m",
  "formation_energy_mev_per_atom": 26,
  "dft_energy_ha_per_atom": -0.236,
  "lattice": [[3.987, 0.000, 0.000], [1.994, 3.453, 0.000], [1.994, 1.151, 3.256]],
  "species": ["Ni", "Ni", "Ni", "Fe"],
  "fractional_positions": [[0.500, 0.500, 0.500], [0.750, 0.750, 0.750], [0.250, 0.250, 0.250], [0.000, 0.000, 0.000]]
}

(5)
{
  "formula": "Fe2Ni",
  "functional": "PBE-GGA",
  "state": "relaxed",
  "total_magnetization_mub_per_cell": 9.93,
  "n_ef_per_ev_fu": 2.0,
  "space_group": "Fd-3m",
  "formation_energy_mev_per_atom": 175,
  "dft_energy_ha_per_atom": -0.272,
  "lattice": [[0.000, 3.276, 3.276], [3.276, 0.000, 3.276], [3.276, 3.276, 0.000]],
  "species": ["Fe", "Fe", "Fe", "Fe", "Ni", "Ni"],
  "fractional_positions": [[0.625, 0.125, 0.625], [0.125, 0.625, 0.625], [0.625, 0.625, 0.125], [0.625, 0.625, 0.625], [0.000, 0.000, 0.000], [0.250, 0.250, 0.250]]
}

(6)
{
  "formula": "FeNi3",
  "functional": "PBE-GGA",
  "state": "relaxed",
  "total_magnetization_mub_per_cell": 4.65,
  "n_ef_per_ev_fu": 4.6,
  "space_group": "P-6m2",
  "formation_energy_mev_per_atom": -10,
  "dft_energy_ha_per_atom": -0.237,
  "lattice": [[-0.752, 1.815, 1.557], [-1.248, -2.172, -0.088], [4.837, -3.017, 5.854]],
  "species": ["Ni", "Ni", "Ni", "Fe"],
  "fractional_positions": [[0.667, 0.333, 0.249], [0.000, 0.000, 0.500], [0.667, 0.333, 0.751], [0.000, 0.000, 0.000]]
}

~~~~~

1.
A plane-wave DFT calculation with PBE was carried out for a geometry-optimized PaSbAsPd structure.

abc: 4.257 4.257 9.449
angles: 90.00 90.00 90.00
Atoms (fractional coordinates):
Pa: 0.500 0.000 0.726
Pa: 0.000 0.500 0.274
Sb: 0.000 0.500 0.814
Sb: 0.500 0.000 0.186
As: 0.000 0.000 0.500
As: 0.500 0.500 0.500
Pd: 0.500 0.500 0.000
Pd: 0.000 0.000 0.000

- Magnetization: 0.00 Bohr magnetons per cell
- Formation energy (no corrections): -719.7 meV per atom
- VASP energy: -6.585 eV/atom

---

2.
A plane-wave DFT calculation with PBE was carried out for a geometry-optimized Sr3Pa2As6Pd structure.

abc: 7.180 7.180 7.635
angles: 100.47 100.47 118.17
Atoms (fractional coordinates):
Sr: 0.169 0.831 0.500
Sr: 0.831 0.169 0.500
[Worked solution]
  "n_ef_per_ev_fu": 2.0,
  "space_group": "Fd-3m",
  "formation_energy_mev_per_atom": 175,
  "dft_energy_ha_per_atom": -0.272,
  "lattice": [[0.000, 3.276, 3.276], [3.276, 0.000, 3.276], [3.276, 3.276, 0.000]],
  "species": ["Fe", "Fe", "Fe", "Fe", "Ni", "Ni"],
  "fractional_positions": [[0.625, 0.125, 0.625], [0.125, 0.625, 0.625], [0.625, 0.625, 0.125], [0.625, 0.625, 0.625], [0.000, 0.000, 0.000], [0.250, 0.250, 0.250]]
}

(6)
{
  "formula": "FeNi3",
  "functional": "PBE-GGA",
  "state": "relaxed",
  "total_magnetization_mub_per_cell": 4.65,
  "n_ef_per_ev_fu": 4.6,
  "space_group": "P-6m2",
  "formation_energy_mev_per_atom": -10,
  "dft_energy_ha_per_atom": -0.237,
  "lattice": [[-0.752, 1.815, 1.557], [-1.248, -2.172, -0.088], [4.837, -3.017, 5.854]],
  "species": ["Ni", "Ni", "Ni", "Fe"],
  "fractional_positions": [[0.667, 0.333, 0.249], [0.000, 0.000, 0.500], [0.667, 0.333, 0.751], [0.000, 0.000, 0.000]]
}

~~~~~

1.
A plane-wave DFT calculation with PBE was carried out for a geometry-optimized PaSbAsPd structure.

abc: 4.257 4.257 9.449
angles: 90.00 90.00 90.00
Atoms (fractional coordinates):
Pa: 0.500 0.000 0.726
Pa: 0.000 0.500 0.274
Sb: 0.000 0.500 0.814
Sb: 0.500 0.000 0.186
As: 0.000 0.000 0.500
As: 0.500 0.500 0.500
Pd: 0.500 0.500 0.000
Pd: 0.000 0.000 0.000

- Magnetization: 0.00 Bohr magnetons per cell
- Formation energy (no corrections): -719.7 meV per atom
- VASP energy: -6.585 eV/atom

---

2.
A plane-wave DFT calculation with PBE was carried out for a geometry-optimized Sr3Pa2As6Pd structure.

abc: 7.180 7.180 7.635
angles: 100.47 100.47 118.17
Atoms (fractional coordinates):
Sr: 0.169 0.831 0.500
Sr: 0.831 0.169 0.500